Ah, the age old question. How many edits does it take to get to the center of a good manuscript? As with everything else in writing, the answer is crisp, clear, and concise:
It depends.
I hope you enjoyed this useless post and look forward to your hate mail.
But seriously, it’s a difficult question to answer because it hinges on a myriad of factors. I lost count of the editing rounds with my debut novel Transient. Everything was new and I had no idea what a finished manuscript looked like. When it came time to edit my second book, I had gained some competency and knocked it out in a dozen passes. Several books later, my editing strategy had reduced to a handful of deliberate sessions.
For me, and I cannot stress the me part enough, I have learned that it takes four major editing rounds: Content, Format, Verbal, and Polish.
Content editing should be self-explanatory. You edit for content. This includes fleshing out detail, adjusting pace, fixing structural issues, deleting anything that doesn’t make sense or push the story forward, whatever gives your narrative a clear direction. Typically, my first draft is about 3/4 the word count of the finished product. I add the other 1/4 during content editing. In fact, I sometimes add notes in the first draft like [need more detail about the pickle] and come back to it after completion.
Content editing should take about as much time as writing the first draft.
After this round, my story is complete.
Format editing is when I dump the content into a file that I will use for publication (usually a tricked-out Word document). I set margins, select fonts, add titles, copyrights, headers, page numbers, all that tedious stuff. Once I have everything in place (and technically ready to print), I start a fresh round of editing and adjust anything that is not pleasing to the eye. Sometimes it’s a simple word choice. Other times it’s a complete rearrangement of a paragraph or scene.
Format editing should take about half the time of content editing.
After this round, my narrative is complete.
Verbal editing is when I read the entire novel aloud and adjust anything that is not pleasing to the ear. You would be amazed at how many errors you uncover by simply vocalizing the words you have written. Your ears have a way of uncovering linguistic quirks that don’t sound right. It might look good on paper, but your ears will tell you things like “no human speaks that way” or “this phrase makes you sound like a pirate.”
_Attached: data records_
'''
## V2SbRh2 (PBE-GGA)

Data for a relaxed structure of V2SbRh2.

```
V2SbRh2
1.0
7.450 0.000 0.000
0.000 7.450 0.000
0.000 0.000 2.881
V Sb Rh
4 2 4
Direct
0.153 0.347 0.000 V
0.347 0.847 0.000 V
0.653 0.153 0.000 V
0.847 0.653 0.000 V
0.000 0.000 0.000 Sb
0.500 0.500 0.000 Sb
0.136 0.636 0.500 Rh
0.364 0.136 0.500 Rh
0.636 0.864 0.500 Rh
0.864 0.364 0.500 Rh
```

Properties
Energy above the lowest structure with this stoichiometry = 85 meV/atom
SG = P4/mbm
ρ = 8.9 g cm⁻³
Total moment = 0.091 Bohr magnetons per cell
ΔE_f (raw) = -73 meV/atom
Volume = 159.88 Å³/cell

~~~~~

Record 1
# Ga2Ag5Sn2, optimized geometry, DFT GGA-PBE
data_Ga2Ag5Sn2
_cell_length_a 5.273
_cell_length_b 5.818
_cell_length_c 6.981
_cell_angle_alpha 70.28
_cell_angle_beta 69.50
_cell_angle_gamma 72.26
_space_group_name_H-M_alt 'P -1'
_space_group_IT_number 2
loop_
_space_group_symop_operation_xyz
'x,y,z'
'-x,-y,-z'
loop_
_atom_site_label
_atom_site_fract_x
_atom_site_fract_y
_atom_site_fract_z
Ga1 0.161 0.167 0.340
Ag1 0.000 0.500 0.000
Ag2 0.243 0.398 0.600
Ag3 0.318 0.853 0.699
Sn1 0.343 0.729 0.148
# DFT total energy in eV/f.u.: -27.928
# V in Å³/cell: 184.6
# Density in Mg/m³: 8.243


Record 2
# NaInAgBr3, optimized geometry, DFT GGA-PBE
data_NaInAgBr3
_cell_length_a 8.994
_cell_length_b 4.409
_cell_length_c 9.864
_cell_angle_alpha 90.00
_cell_angle_beta 102.74
_cell_angle_gamma 90.00
_space_group_name_H-M_alt 'P 1 21/m 1'
_space_group_IT_number 11
loop_
_space_group_symop_operation_xyz
'x,y,z'
'-x,-y,-z'
'-x,y+1/2,-z'
'x,-y+1/2,z'
loop_
_atom_site_label
_atom_site_fract_x
_atom_site_fract_y
_atom_site_fract_z
Na1 0.160 0.250 0.146
In1 0.302 0.750 0.789
Ag1 0.424 0.750 0.408
Br1 0.065 0.250 0.839
Br2 0.265 0.250 0.470
Br3 0.388 0.750 0.128
# V in Å³/cell: 381.5
# Raw formation energy in eV per atom: -0.84
# Density in Mg/m³: 4.225


Record 3
# TmBeCo2, optimized geometry, DFT GGA-PBE
data_TmBeCo2
_cell_length_a 4.703
_cell_length_b 4.376
_cell_length_c 11.335
_cell_angle_alpha 90.00
_cell_angle_beta 90.00
_cell_angle_gamma 90.00
_space_group_name_H-M_alt 'P m m a'
_space_group_IT_number 51
loop_
_space_group_symop_operation_xyz
'x,y,z'
'-x,-y,-z'
'-x+1/2,-y,z'
'x+1/2,y,-z'
'x+1/2,-y,-z'
'-x+1/2,y,z'
'-x,y,-z'
'x,-y,z'
loop_
_atom_site_label
_atom_site_fract_x
_atom_site_fract_y
_atom_site_fract_z
Tm1 0.250 0.000 0.094
Tm2 0.250 0.500 0.311
Be1 0.250 0.000 0.661
Be2 0.250 0.500 0.550
Co1 0.000 0.000 0.500
Co2 0.000 0.500 0.000
Co3 0.250 0.252 0.827
# Energy above the most stable polymorph in this dataset in meV per atom: 175
# V in Å³/cell: 233.3
# Density in Mg/m³: 8.422


Record 4
# Sr4Ga3Ge, optimized geometry, DFT GGA-PBE
data_Sr4Ga3Ge
_cell_length_a 4.402
_cell_length_b 4.757
_cell_length_c 11.867
_cell_angle_alpha 90.00
_cell_angle_beta 90.00
_cell_angle_gamma 90.00
_space_group_name_H-M_alt 'P m m 2'
_space_group_IT_number 25
loop_
_space_group_symop_operation_xyz
'x,y,z'
'-x,-y,z'
'-x,y,z'
'x,-y,z'
loop_
_atom_site_label
_atom_site_fract_x
_atom_site_fract_y
'''
Verbal editing should take about half the time of format editing.
Inserted here: data records =
~~~
(1)
{
  "formula": "DySiPt",
  "functional": "PBE-GGA",
  "state": "relaxed",
  "rho_g_cm3": 11.616,
  "vol_a3_per_atom": 18.4,
  "dft_energy_ev_per_cell": -58.12,
  "lattice_angstrom": [[6.7475, 0.0000, 0.0000], [-3.3738, 5.8435, 0.0000], [0.0000, 0.0000, 4.1949]],
  "species": ["Dy", "Dy", "Dy", "Si", "Si", "Si", "Pt", "Pt", "Pt"],
  "frac_coords": [[0.0000, 0.5744, 0.0000], [0.4256, 0.4256, 0.0000], [0.5744, 0.0000, 0.0000], [0.0000, 0.0000, 0.0000], [0.3333, 0.6667, 0.5000], [0.6667, 0.3333, 0.5000], [0.0000, 0.2467, 0.5000], [0.2467, 0.0000, 0.5000], [0.7533, 0.7533, 0.5000]]
}



(2)
{
  "formula": "AcSc",
  "functional": "PBE-GGA",
  "state": "relaxed",
  "de_polymorph_ev_per_atom": 0.582,
  "rho_g_cm3": 6.153,
  "delta_e_f_ev_per_atom": 0.81,
  "vol_a3_per_atom": 36.7,
  "lattice_angstrom": [[0.0000, 3.3231, 3.3231], [3.3231, 0.0000, 3.3231], [3.3231, 3.3231, 0.0000]],
  "species": ["Ac", "Sc"],
  "frac_coords": [[0.0000, 0.0000, 0.0000], [0.5000, 0.5000, 0.5000]]
}



(3)
{
  "formula": "LuFeNiBi",
  "functional": "PBE-GGA",
  "state": "relaxed",
  "de_polymorph_ev_per_atom": 0.188,
  "rho_g_cm3": 11.009,
  "vol_a3_per_atom": 18.8,
  "lattice_angstrom": [[0.0000, 3.3500, 3.3500], [3.3500, 0.0000, 3.3500], [3.3500, 3.3500, 0.0000]],
  "species": ["Lu", "Fe", "Ni", "Bi"],
  "frac_coords": [[0.0000, 0.0000, 0.0000], [0.5000, 0.5000, 0.5000], [0.7500, 0.7500, 0.7500], [0.2500, 0.2500, 0.2500]]
}

=====

Record 1
A relaxed Na2Ca3PaTe6 crystal. Source: Alexandria, functional PBE.

Unit cell a=7.857 b=7.857 c=7.786 alpha=99.73 beta=99.73 gamma=119.92
Fractional positions:
Na: 0.334 0.666 0.000
Na: 0.666 0.334 0.000
Ca: 0.169 0.831 0.500
Ca: 0.831 0.169 0.500
Ca: 0.500 0.500 0.500
Pa: 0.000 0.000 0.000
Te: 0.917 0.596 0.749
Te: 0.763 0.763 0.246
Te: 0.083 0.404 0.251
Te: 0.596 0.917 0.749
Te: 0.237 0.237 0.754
Te: 0.404 0.083 0.251

Output
**Final energy**: -4.37 eV/atom
**M_tot**: 1.01 μB/cell
**N(E_F)**: 0.13 states/eV/atom
**Formation energy from raw total energies**: -1.2839 eV per atom

---

Record 2
A relaxed NaCa2PaTe4 crystal. Source: Alexandria, functional PBE.

Unit cell a=4.414 b=7.859 c=7.779 alpha=108.41 beta=90.00 gamma=90.00
Fractional positions:
Na: 0.000 0.000 0.000
Ca: 0.500 0.000 0.500
Ca: 0.000 0.500 0.500
Pa: 0.500 0.500 0.000
Te: 0.500 0.257 0.249
Te: 0.500 0.743 0.751
Te: 0.000 0.253 0.752
Te: 0.000 0.747 0.248

Output
**Final energy**: -4.63 eV/atom
**M_tot**: 1.86 μB/cell
**N(E_F)**: 0.77 states/eV/atom
**Formation energy from raw total energies**: -1.2054 eV per atom

---

Record 3
A relaxed NaCa2Pb3 crystal. Source: Alexandria, functional PBE.

Unit cell a=5.001 b=9.229 c=9.229 alpha=109.28 beta=105.72 gamma=105.72
Fractional positions:
Na: 0.250 0.426 0.574
Na: 0.750 0.574 0.426
Ca: 0.250 0.086 0.914
Ca: 0.250 0.739 0.261
Ca: 0.750 0.914 0.086
Ca: 0.750 0.261 0.739
Pb: 0.504 0.837 0.670
Pb: 0.004 0.670 0.837
Pb: 0.500 0.500 0.000
Pb: 0.496 0.163 0.330
Pb: 0.000 0.000 0.500
Pb: 0.996 0.330 0.163

Output
~~~
After this round, my manuscript is complete.
Polish editing is quick and easy. This is when you and your find/replace become best friends. You search for all the dumb little mistakes that manage to slip through committee, things like double spaces, inverted quotes, and there/their/they’re. I keep a running list of common typos that I search for in every final draft. One of my common failings is using “sunk” when I mean “sank.” At least one of those bastards will make it through to the end.
# Unrelated to this article: data records
[1]
RbTmMo2O8: relaxed, PBE+U.

Lattice parameters (Å, degrees): 7.506 7.506 7.732 118.22 118.22 87.67
Positions (direct):
Rb 0.195 0.805 0.750
Rb 0.805 0.195 0.250
Tm 0.228 0.772 0.250
Tm 0.772 0.228 0.750
Mo 0.304 0.306 0.765
Mo 0.306 0.304 0.265
Mo 0.694 0.696 0.735
Mo 0.696 0.694 0.235
O 0.047 0.216 0.701
O 0.063 0.373 0.118
O 0.216 0.047 0.201
O 0.234 0.388 0.565
O 0.370 0.590 0.038
O 0.373 0.063 0.618
O 0.388 0.234 0.065
O 0.410 0.630 0.462
O 0.590 0.370 0.538
O 0.612 0.766 0.935
O 0.627 0.937 0.382
O 0.630 0.410 0.962
O 0.766 0.612 0.435
O 0.784 0.953 0.799
O 0.937 0.627 0.882
O 0.953 0.784 0.299

Calculated values
Energy in Ha/atom: -0.2608


[2]
Rb2U3MoO12: relaxed, PBE+U.

Lattice parameters (Å, degrees): 7.698 7.698 7.698 61.99 61.99 61.99
Positions (direct):
Rb 0.128 0.128 0.128
Rb 0.872 0.872 0.872
U 0.000 0.500 0.500
U 0.500 0.000 0.500
U 0.500 0.500 0.000
Mo 0.500 0.500 0.500
O 0.180 0.180 0.563
O 0.180 0.563 0.180
O 0.192 0.559 0.559
O 0.437 0.820 0.820
O 0.441 0.441 0.808
O 0.441 0.808 0.441
O 0.559 0.192 0.559
O 0.559 0.559 0.192
O 0.563 0.180 0.180
O 0.808 0.441 0.441
O 0.820 0.437 0.820
O 0.820 0.820 0.437

Calculated values
Energy in Ha/atom: -0.3086


[3]
RbU2MoO8: relaxed, PBE+U.

Lattice parameters (Å, degrees): 5.147 5.156 7.128 88.57 88.53 87.10
Positions (direct):
Rb 0.000 0.000 0.000
U 0.493 0.492 0.255
U 0.507 0.508 0.745
Mo 0.000 0.000 0.500
O 0.222 0.772 0.704
O 0.230 0.781 0.296
O 0.304 0.307 0.488
O 0.340 0.345 0.981
O 0.660 0.655 0.019
O 0.696 0.693 0.512
O 0.770 0.219 0.704
O 0.778 0.228 0.296

Calculated values
Energy in Ha/atom: -0.3089


V, respectively: 13.697 18.716 15.733 Å³ per atom.
# Here the article continues
Polish editing should only take a day or two.
After this round, my novel is complete.
Now it’s off to the races. I hand it over to my copy editor for a final nit-pick while I concentrate on cover design, back blurb, and all the other fun stuff that goes into getting a completed book into the hands of readers. It’s a daunting process, but I enjoy every second.
Hopefully this post helped to answer that annoying question, or at the very least, give you an expectation of things to come. Best of luck and happy editing.